Computed, not measured: a structure of composition C5H7N, with the ωB97M-V functional and the def2-TZVPD basis.

Each line ends with the natural charge from an NBO analysis.
Cartesian coordinates (Å):
C (0.6690, -0.8570, 0.1636)  0.23
C (1.8795, 0.6573, -0.0465)  -0.25
C (0.4373, 0.6502, 0.4066)  -0.38
C (-0.5121, -0.2879, -0.4031)  -0.20
C (-1.8944, -0.4891, 0.0473)  -0.63
N (1.8638, -0.7439, -0.3429)  -0.36
H (2.2962, 1.3315, -0.8430)  0.22
H (2.5532, 0.7043, 0.8959)  0.23
H (-0.2287, 1.2097, 1.0667)  0.23
H (-0.2941, -0.3164, -1.5355)  0.22
H (-2.6098, -0.0805, -0.6437)  0.23
H (-2.0848, -0.1747, 1.1113)  0.22
H (-2.0751, -1.6035, 0.1233)  0.23

Force components x, y, z for each atom (eV/Å):
C 0.9 1.0 1.3
C 1.8 1.5 2.3
C -1.2 0.1 0.1
C 1.2 -0.7 -3.8
C -0.8 -1.8 1.9
N -0.3 -1.9 -1.0
H -0.4 -0.7 0.5
H -1.0 0.7 -1.4
H 1.0 0.0 0.3
H -1.2 0.2 1.4
H -0.3 0.3 0.0
H 0.2 0.2 -1.1
H 0.0 1.1 -0.4

Please start at the top of the material earlier on and retype each line, ending with the one that has "-0.4 -0.7".

Computed, not measured: a structure of composition C5H7N, with the ωB97M-V functional and the def2-TZVPD basis.

Each line ends with the natural charge from an NBO analysis.
Cartesian coordinates (Å):
C (0.6690, -0.8570, 0.1636)  0.23
C (1.8795, 0.6573, -0.0465)  -0.25
C (0.4373, 0.6502, 0.4066)  -0.38
C (-0.5121, -0.2879, -0.4031)  -0.20
C (-1.8944, -0.4891, 0.0473)  -0.63
N (1.8638, -0.7439, -0.3429)  -0.36
H (2.2962, 1.3315, -0.8430)  0.22
H (2.5532, 0.7043, 0.8959)  0.23
H (-0.2287, 1.2097, 1.0667)  0.23
H (-0.2941, -0.3164, -1.5355)  0.22
H (-2.6098, -0.0805, -0.6437)  0.23
H (-2.0848, -0.1747, 1.1113)  0.22
H (-2.0751, -1.6035, 0.1233)  0.23

Force components x, y, z for each atom (eV/Å):
C 0.9 1.0 1.3
C 1.8 1.5 2.3
C -1.2 0.1 0.1
C 1.2 -0.7 -3.8
C -0.8 -1.8 1.9
N -0.3 -1.9 -1.0
H -0.4 -0.7 0.5